• File:
Record 1
DFT (ωB97M-V/def2-TZVPD) results for a molecular structure, C19H42CeNO2P3S.

```
69
Properties=species:S:1:pos:R:3:forces:R:3:lowdin_charge:R:1
Ce -0.549769 -0.281072 0.974098 -1.2 0.7 1.4 0.3420
P 0.672205 -2.686207 1.319902 0.8 -0.9 0.0 0.7327
P 1.836978 0.794594 1.396331 1.8 0.5 -0.2 0.6950
P -1.971511 -1.436546 -0.969651 -0.4 -0.6 -1.2 0.6800
H 1.692727 6.673195 -5.835900 -0.1 0.0 0.0 0.0485
C 0.618548 6.556306 -5.939319 -1.2 1.0 1.1 -0.0836
C -0.242853 7.316696 -5.211341 1.2 -1.1 -1.0 -0.0656
H 0.122213 8.058132 -4.507065 -0.1 -0.1 -0.1 0.0512
C 1.859131 -3.323959 0.093144 -0.3 -0.1 0.3 -0.2100
C 1.576715 -2.774989 2.918041 0.0 0.0 0.0 -0.2169
C -0.585593 -4.001575 1.553912 -0.2 -0.2 0.1 -0.2268
C 1.676084 2.603266 1.173866 -0.1 0.0 0.0 -0.2278
C 2.359651 0.658544 3.148049 -0.2 -0.1 0.1 -0.2016
C 3.279514 0.327098 0.388764 -0.2 0.1 0.0 -0.2237
C -2.848095 -0.219425 -2.010098 0.0 -0.1 0.0 -0.2450
C -3.341923 -2.451278 -0.310355 0.0 0.1 0.0 -0.2084
C -1.084457 -2.537082 -2.114050 -0.1 0.3 0.0 -0.2269
H 0.254849 5.849575 -6.677994 0.0 0.1 0.0 0.0474
H -1.316554 7.236200 -5.349701 0.1 0.0 0.0 0.0505
H 2.179003 -4.319559 0.447380 0.2 0.4 -0.5 0.0777
H 2.694206 -2.600615 0.036566 -0.3 -0.6 0.0 0.0496
H 1.350222 -3.360302 -0.886986 0.4 -0.1 0.5 0.0440
H 1.732426 -3.849696 3.142245 0.1 0.6 0.1 0.0756
H 1.000347 -2.281685 3.727621 0.4 -0.4 -0.5 0.0264
H 2.548941 -2.257661 2.815400 -0.4 -0.4 0.2 0.0613
H -0.054325 -4.886848 1.954424 -0.4 0.2 -0.2 0.0772
H -1.057420 -4.254912 0.590100 0.2 -0.1 0.5 0.0495
H -1.386561 -3.662500 2.258899 0.8 -0.2 -0.9 0.0207
H 2.503319 3.042083 1.754826 -0.3 0.2 -0.4 0.0801
H 0.697130 2.954184 1.550397 0.6 0.0 0.0 0.0527
H 1.734244 2.855355 0.102156 0.1 0.0 0.5 0.0552
H 3.460682 0.542519 3.134960 -0.5 0.2 0.4 0.0818
H 1.882850 -0.215620 3.634784 0.4 0.6 -0.2 0.0249
H 2.040581 1.585798 3.665507 0.4 -0.6 -0.1 0.0761
H 4.009641 1.140805 0.504692 0.1 -0.5 -0.1 0.0753
H 2.944663 0.236312 -0.658027 0.3 0.1 0.4 0.0457
H 3.658887 -0.648791 0.735610 0.1 0.5 -0.2 0.0520
H -3.547231 -0.808738 -2.624598 0.1 0.5 0.0 0.0792
H -2.122666 0.341918 -2.623136 -0.4 -0.4 0.1 0.0450
H -3.378884 0.511115 -1.368437 0.1 -0.5 -0.4 0.0509
H -3.695068 -3.034423 -1.184500 -0.2 0.1 0.7 0.0822
H -4.127871 -1.772166 0.080363 0.3 -0.6 -0.3 0.0787
H -2.983737 -3.114133 0.502030 -0.4 0.3 -0.6 0.0298
H -1.775967 -2.700420 -2.949184 0.4 -0.4 0.0 0.0737
H -0.815803 -3.469168 -1.594519 -0.2 0.2 -0.4 0.0459
H -0.164079 -2.036362 -2.449235 -0.4 -0.2 0.0 0.0417
C -0.264202 2.294475 -1.732629 -0.6 -0.1 0.8 -0.5854
C 0.461256 1.450202 -2.608927 0.6 -0.2 -0.7 -0.0663
C 1.140475 2.024412 -3.681398 -0.4 -1.3 0.8 -0.0072
C 1.087998 3.402693 -3.876709 0.3 0.7 -0.6 0.0220
C 0.374015 4.232859 -3.014711 -0.6 0.5 1.0 -0.0041
C -0.300390 3.686139 -1.938436 0.3 1.0 -0.8 -0.0814
S -1.221735 1.884060 -0.366967 0.2 0.4 -0.8 0.8148
H 0.729579 -0.712133 -0.697231 -0.7 0.2 1.0 -0.0220
H 0.495655 0.368489 -2.435429 -0.1 0.5 -0.1 0.0696
H 1.701133 1.380077 -4.361843 -0.2 0.3 0.2 0.1353
H 1.606610 3.854168 -4.727105 -0.2 -0.2 0.3 0.1341
H 0.314380 5.311505 -3.155182 0.2 -0.3 -0.3 0.1148
H -0.880211 4.279329 -1.227127 0.3 0.0 -0.4 0.1196
N -1.985506 -3.545182 4.588679 0.4 0.0 0.3 0.2200
C -1.565379 -2.134859 5.011639 -0.8 0.2 0.1 -0.0081
C -1.965949 -1.046974 4.015339 -2.4 1.9 1.0 -0.5717
O -2.846192 -0.219497 4.282569 2.0 -2.1 -0.3 0.1347
O -1.303843 -1.065859 2.913896 0.8 -0.2 -1.3 -0.2700
H -2.812207 -3.582786 3.979973 0.1 0.2 0.2 0.1810
H -2.230226 -4.042259 5.449677 0.0 -0.2 -0.1 0.1844
H -1.231833 -4.083098 4.129275 -0.4 0.3 0.3 0.1462
H -2.138776 -1.900954 5.896254 0.1 -0.2 0.4 0.1458
H -0.500042 -2.132771 5.216419 0.0 -0.1 0.1 0.1298
```
Positions in Å, forces in eV/Å.
• Activity:
Please transcribe only the lines further up with the word "for" in them.
• Written answer:
DFT (ωB97M-V/def2-TZVPD) results for a molecular structure, C19H42CeNO2P3S.